Exercise
Now print the lines underneath up to the one that holds "BaSrNdCrO6.", that line included.
Given
Record 1
A plane-wave DFT calculation with PBE with a Hubbard U was carried out for a relaxed structure of Si2NiO6.

E (MP2020) = -7.3344 eV per atom
ΔE to the lowest computed polymorph = 0.043 eV/atom
E_tot = -474.77 eV/cell
Formation energy from the elements = -2187.9 meV/atom
Magnetization = 32.00 μB per cell

Lattice parameters (Å, degrees): 5.1057 18.4490 10.7354 90.00 90.00 90.00
Space group Pbca (No. 61)
Asymmetric unit:
Si  0.1205  0.2226  0.1692 (multiplicity 8)
Si  0.2386  0.0265  0.3294 (multiplicity 8)
Ni  0.0621  0.6256  0.9559 (multiplicity 8)
O  0.0345  0.0469  0.2169 (multiplicity 8)
O  0.1431  0.1909  0.6331 (multiplicity 8)
O  0.1730  0.7034  0.2819 (multiplicity 8)
O  0.1761  0.0744  0.4545 (multiplicity 8)
O  0.1884  0.1783  0.0413 (multiplicity 8)
O  0.2353  0.5602  0.8599 (multiplicity 8)

Record 2
A plane-wave DFT calculation with PBE with a Hubbard U was carried out for a relaxed structure of Li2TiCr3O8.

E (MP2020) = -8.2387 eV per atom
ΔE to the lowest computed polymorph = 0.063 eV/atom
E_tot = -207.70 eV/cell
Formation energy from the elements = -2506.1 meV/atom
Magnetization = 16.00 μB per cell

Lattice parameters (Å, degrees): 5.8724 5.9475 8.6615 92.28 90.08 90.03
Space group P-1 (No. 2)
Asymmetric unit:
Li  0.0000  0.0000  0.0000 (multiplicity 1)
Li  0.0000  0.5000  0.5000 (multiplicity 1)
Li  0.5000  0.0000  0.0000 (multiplicity 1)
Li  0.5000  0.5000  0.5000 (multiplicity 1)
Ti  0.2495  0.2454  0.7505 (multiplicity 2)
Cr  0.0000  0.0000  0.5000 (multiplicity 1)
Cr  0.0000  0.5000  0.0000 (multiplicity 1)
Cr  0.2500  0.7482  0.2503 (multiplicity 2)
Cr  0.5000  0.0000  0.5000 (multiplicity 1)
Cr  0.5000  0.5000  0.0000 (multiplicity 1)
O  0.0040  0.5343  0.2368 (multiplicity 2)
O  0.0044  0.9678  0.2632 (multiplicity 2)
O  0.2503  0.2342  0.5232 (multiplicity 2)
O  0.2501  0.2643  0.9772 (multiplicity 2)
O  0.2502  0.7344  0.0214 (multiplicity 2)
O  0.2500  0.7660  0.4794 (multiplicity 2)
O  0.4931  0.5346  0.2356 (multiplicity 2)
O  0.4944  0.9677  0.2633 (multiplicity 2)

Record 3
A plane-wave DFT calculation with PBE with a Hubbard U was carried out for a relaxed structure of Mg2W3O8.

E (MP2020) = -8.5438 eV per atom
ΔE to the lowest computed polymorph = 0.000 eV/atom
E_tot = -184.52 eV/cell
Formation energy from the elements = -2262.4 meV/atom
Magnetization = 0.00 μB per cell

Lattice parameters (Å, degrees): 6.2475 6.2475 9.6187 90.00 90.00 120.00
Space group P6_3mc (No. 186)
Asymmetric unit:
Mg  0.3333  0.6667  0.0000 (multiplicity 2)
Mg  0.3333  0.6667  0.3799 (multiplicity 2)
W  0.1680  0.3360  0.7131 (multiplicity 6)
O  0.0000  0.0000  0.3223 (multiplicity 2)
O  0.0383  0.5192  0.8475 (multiplicity 6)
O  0.1707  0.3414  0.1204 (multiplicity 6)
O  0.3333  0.6667  0.5908 (multiplicity 2)

Record 4
A plane-wave DFT calculation with PBE with a Hubbard U was carried out for a relaxed structure of BaSrNdCrO6.

E (MP2020) = -7.5394 eV per atom
ΔE to the lowest computed polymorph = 0.043 eV/atom
E_tot = -277.09 eV/cell
Formation energy from the elements = -2767.6 meV/atom
Magnetization = 4.00 μB per cell

Lattice parameters (Å, degrees): 8.4086 8.4086 8.4086 90.00 90.00 90.00
Space group F-43m (No. 216)
Asymmetric unit:
Ba  0.0000  0.0000  0.0000 (multiplicity 4)
Sr  0.0000  0.0000  0.5000 (multiplicity 4)
Nd  0.2500  0.2500  0.2500 (multiplicity 4)
Cr  0.2500  0.2500  0.7500 (multiplicity 4)
O  0.0242  0.2500  0.7500 (multiplicity 24)

=====

1.
# Fe4O5F3

Crystalline Fe4O5F3 at its relaxed geometry (PBE with a Hubbard U, the Materials Project database).

The structure in CIF format:
```
data_Fe4O5F3
_chemical_formula_sum 'Fe8 O10 F6'
_cell_length_a 4.705
_cell_length_b 5.610
_cell_length_c 10.296
_cell_angle_alpha 96.26
_cell_angle_beta 90.54
_cell_angle_gamma 91.80
_symmetry_space_group_name_H-M 'P -1'
_symmetry_Int_Tables_number 2
loop_
_symmetry_equiv_pos_as_xyz
'x,y,z'
'-x,-y,-z'
loop_
_atom_site_label
_atom_site_fract_x
_atom_site_fract_y
_atom_site_fract_z
Fe1 0.000 0.000 0.000
Completed
Record 1
A plane-wave DFT calculation with PBE with a Hubbard U was carried out for a relaxed structure of Si2NiO6.

E (MP2020) = -7.3344 eV per atom
ΔE to the lowest computed polymorph = 0.043 eV/atom
E_tot = -474.77 eV/cell
Formation energy from the elements = -2187.9 meV/atom
Magnetization = 32.00 μB per cell

Lattice parameters (Å, degrees): 5.1057 18.4490 10.7354 90.00 90.00 90.00
Space group Pbca (No. 61)
Asymmetric unit:
Si  0.1205  0.2226  0.1692 (multiplicity 8)
Si  0.2386  0.0265  0.3294 (multiplicity 8)
Ni  0.0621  0.6256  0.9559 (multiplicity 8)
O  0.0345  0.0469  0.2169 (multiplicity 8)
O  0.1431  0.1909  0.6331 (multiplicity 8)
O  0.1730  0.7034  0.2819 (multiplicity 8)
O  0.1761  0.0744  0.4545 (multiplicity 8)
O  0.1884  0.1783  0.0413 (multiplicity 8)
O  0.2353  0.5602  0.8599 (multiplicity 8)

Record 2
A plane-wave DFT calculation with PBE with a Hubbard U was carried out for a relaxed structure of Li2TiCr3O8.

E (MP2020) = -8.2387 eV per atom
ΔE to the lowest computed polymorph = 0.063 eV/atom
E_tot = -207.70 eV/cell
Formation energy from the elements = -2506.1 meV/atom
Magnetization = 16.00 μB per cell

Lattice parameters (Å, degrees): 5.8724 5.9475 8.6615 92.28 90.08 90.03
Space group P-1 (No. 2)
Asymmetric unit:
Li  0.0000  0.0000  0.0000 (multiplicity 1)
Li  0.0000  0.5000  0.5000 (multiplicity 1)
Li  0.5000  0.0000  0.0000 (multiplicity 1)
Li  0.5000  0.5000  0.5000 (multiplicity 1)
Ti  0.2495  0.2454  0.7505 (multiplicity 2)
Cr  0.0000  0.0000  0.5000 (multiplicity 1)
Cr  0.0000  0.5000  0.0000 (multiplicity 1)
Cr  0.2500  0.7482  0.2503 (multiplicity 2)
Cr  0.5000  0.0000  0.5000 (multiplicity 1)
Cr  0.5000  0.5000  0.0000 (multiplicity 1)
O  0.0040  0.5343  0.2368 (multiplicity 2)
O  0.0044  0.9678  0.2632 (multiplicity 2)
O  0.2503  0.2342  0.5232 (multiplicity 2)
O  0.2501  0.2643  0.9772 (multiplicity 2)
O  0.2502  0.7344  0.0214 (multiplicity 2)
O  0.2500  0.7660  0.4794 (multiplicity 2)
O  0.4931  0.5346  0.2356 (multiplicity 2)
O  0.4944  0.9677  0.2633 (multiplicity 2)

Record 3
A plane-wave DFT calculation with PBE with a Hubbard U was carried out for a relaxed structure of Mg2W3O8.

E (MP2020) = -8.5438 eV per atom
ΔE to the lowest computed polymorph = 0.000 eV/atom
E_tot = -184.52 eV/cell
Formation energy from the elements = -2262.4 meV/atom
Magnetization = 0.00 μB per cell

Lattice parameters (Å, degrees): 6.2475 6.2475 9.6187 90.00 90.00 120.00
Space group P6_3mc (No. 186)
Asymmetric unit:
Mg  0.3333  0.6667  0.0000 (multiplicity 2)
Mg  0.3333  0.6667  0.3799 (multiplicity 2)
W  0.1680  0.3360  0.7131 (multiplicity 6)
O  0.0000  0.0000  0.3223 (multiplicity 2)
O  0.0383  0.5192  0.8475 (multiplicity 6)
O  0.1707  0.3414  0.1204 (multiplicity 6)
O  0.3333  0.6667  0.5908 (multiplicity 2)

Record 4
A plane-wave DFT calculation with PBE with a Hubbard U was carried out for a relaxed structure of BaSrNdCrO6.